== File ==
Theoretical powder X-ray diffraction pattern of RbPu2WO8 for Cu Kα (λ = 1.5418 Å), from a DFT-relaxed cell (GGA+U, Alexandria).
Neutral-atom scattering factors, no anomalous dispersion.

Most intense lines, 10 to 90 degrees two-theta, by angle:
2θ = 17.06°, intensity 19
2θ = 19.46°, intensity 43
2θ = 22.14°, intensity 79
2θ = 26.15°, intensity 63
2θ = 27.71°, intensity 100
2θ = 31.94°, intensity 61
2θ = 34.52°, intensity 35
2θ = 35.53°, intensity 20
2θ = 39.24°, intensity 20
2θ = 47.11°, intensity 25
2θ = 49.92°, intensity 37
2θ = 57.22°, intensity 22

```
RbPu2WO8
1.0
4.122 -3.408 0.000
4.122 3.408 0.000
-1.698 0.000 7.308
Rb Pu W O
1 2 1 8
Cartesian
0.000 0.000 0.000
2.444 0.000 5.580
4.103 0.000 1.728
-0.849 0.000 3.654
3.534 2.030 2.316
3.013 2.030 4.992
1.104 0.000 4.048
2.873 0.000 0.122
3.674 0.000 7.186
5.443 0.000 3.260
3.534 -2.030 2.316
3.013 -2.030 4.992
```

* * * * *

(1)
This entry pairs a crystal structure of Ni4Ge with its theoretical powder X-ray diffraction pattern. Radiation: Cu Ka. Structure: a cell relaxed with GGA-PBE.
Kinematic intensities with the Lorentz-polarization factor, no thermal factor.

Peak list (6 most intense, 15 to 90 degrees two-theta, sorted by position)
(hkl), 2θ (°), d (Å), I/Imax
0 2 0, 26.15, 3.407, 65
0 2 1, 32.28, 2.773, 69
2 0 0, 45.07, 2.012, 83
1 1 -2, 46.13, 1.968, 100
1 1 2, 46.24, 1.963, 99
1 3 1, 49.91, 1.827, 97

Structure:
```
data_Ni4Ge
_cell_length_a 4.0231
_cell_length_b 6.8144
_cell_length_c 4.7737
_cell_angle_alpha 90.00
_cell_angle_beta 90.17
_cell_angle_gamma 90.00
_symmetry_space_group_name_H-M 'C 1 2/m 1'
_symmetry_Int_Tables_number 12
_symmetry_space_group_name_Hall '-C 2y'
loop_
_atom_site_label
_atom_site_fract_x
_atom_site_fract_y
_atom_site_fract_z
Ni1 0.9997 0.0000 0.2418
Ni2 0.0000 0.3327 0.0000
Ge1 0.0000 0.5000 0.5000
```

(2)
This entry pairs a crystal structure of NpNi6Ge6 with its theoretical powder X-ray diffraction pattern. Radiation: Cu Ka. Structure: a cell relaxed with GGA-PBE.
Kinematic intensities with the Lorentz-polarization factor, no thermal factor.

Peak list (6 most intense, 15 to 90 degrees two-theta, sorted by position)
(hkl), 2θ (°), d (Å), I/Imax
2 0 0, 34.75, 2.582, 23
1 0 3, 34.85, 2.574, 45
0 3 1, 35.20, 2.549, 23
2 0 2, 40.38, 2.234, 38
2 2 0, 41.72, 2.165, 100
2 6 0, 81.41, 1.182, 24

Structure:
```
data_NpNi6Ge6
_cell_length_a 5.1634
_cell_length_b 7.9814
_cell_length_c 8.9095
_cell_angle_alpha 90.00
_cell_angle_beta 90.00
_cell_angle_gamma 90.00
_symmetry_space_group_name_H-M 'I m m m'
_symmetry_Int_Tables_number 71
_symmetry_space_group_name_Hall '-I 2 2'
loop_
_atom_site_label
_atom_site_fract_x
_atom_site_fract_y
_atom_site_fract_z
Np1 0.0000 0.0000 0.0000
Ni1 0.0000 0.2418 0.5000
Ni2 0.2500 0.2500 0.2500
Ge1 0.0000 0.0000 0.3341
Ge2 0.0000 0.3465 0.0000
Ge3 0.0000 0.5000 0.3341
```

(3)
This entry pairs a crystal structure of NpNi5Ge3 with its theoretical powder X-ray diffraction pattern. Radiation: Cu Ka. Structure: a cell relaxed with GGA-PBE.
Kinematic intensities with the Lorentz-polarization factor, no thermal factor.

Peak list (6 most intense, 15 to 90 degrees two-theta, sorted by position)
(hkl), 2θ (°), d (Å), I/Imax
0 4 0, 29.43, 3.035, 58
0 0 4, 30.38, 2.943, 58
1 1 3, 34.11, 2.629, 95
1 3 2, 36.25, 2.478, 100
1 1 4, 39.83, 2.263, 64
2 0 0, 49.26, 1.850, 51

Structure:
```
data_NpNi5Ge3
_cell_length_a 3.6996
_cell_length_b 12.1497
_cell_length_c 11.7765
_cell_angle_alpha 90.00
_cell_angle_beta 90.00
_cell_angle_gamma 90.00
_symmetry_space_group_name_H-M 'C m c m'
_symmetry_Int_Tables_number 63
_symmetry_space_group_name_Hall '-C 2c 2'
loop_
_atom_site_label
_atom_site_fract_x
_atom_site_fract_y
_atom_site_fract_z
Np1 0.0000 0.1550 0.2500
Ni1 0.0000 0.0000 0.0000
Ni2 0.0000 0.1940 0.5632
Ni3 0.0000 0.4455 0.1438
Ge1 0.0000 0.1203 0.7500
Ge2 0.0000 0.3810 0.5488
```

(4)
== To do ==
What is needed: restate the whole of the material further up word for word.
== Reply ==
Theoretical powder X-ray diffraction pattern of RbPu2WO8 for Cu Kα (λ = 1.5418 Å), from a DFT-relaxed cell (GGA+U, Alexandria).
Neutral-atom scattering factors, no anomalous dispersion.

Most intense lines, 10 to 90 degrees two-theta, by angle:
2θ = 17.06°, intensity 19
2θ = 19.46°, intensity 43
2θ = 22.14°, intensity 79
2θ = 26.15°, intensity 63
2θ = 27.71°, intensity 100
2θ = 31.94°, intensity 61
2θ = 34.52°, intensity 35
2θ = 35.53°, intensity 20
2θ = 39.24°, intensity 20
2θ = 47.11°, intensity 25
2θ = 49.92°, intensity 37
2θ = 57.22°, intensity 22

```
RbPu2WO8
1.0
4.122 -3.408 0.000
4.122 3.408 0.000
-1.698 0.000 7.308
Rb Pu W O
1 2 1 8
Cartesian
0.000 0.000 0.000
2.444 0.000 5.580
4.103 0.000 1.728
-0.849 0.000 3.654
3.534 2.030 2.316
3.013 2.030 4.992
1.104 0.000 4.048
2.873 0.000 0.122
3.674 0.000 7.186
5.443 0.000 3.260
3.534 -2.030 2.316
3.013 -2.030 4.992
```

* * * * *

(1)
This entry pairs a crystal structure of Ni4Ge with its theoretical powder X-ray diffraction pattern. Radiation: Cu Ka. Structure: a cell relaxed with GGA-PBE.
Kinematic intensities with the Lorentz-polarization factor, no thermal factor.

Peak list (6 most intense, 15 to 90 degrees two-theta, sorted by position)
(hkl), 2θ (°), d (Å), I/Imax
0 2 0, 26.15, 3.407, 65
0 2 1, 32.28, 2.773, 69
2 0 0, 45.07, 2.012, 83
1 1 -2, 46.13, 1.968, 100
1 1 2, 46.24, 1.963, 99
1 3 1, 49.91, 1.827, 97

Structure:
```
data_Ni4Ge
_cell_length_a 4.0231
_cell_length_b 6.8144
_cell_length_c 4.7737
_cell_angle_alpha 90.00
_cell_angle_beta 90.17
_cell_angle_gamma 90.00
_symmetry_space_group_name_H-M 'C 1 2/m 1'
_symmetry_Int_Tables_number 12
_symmetry_space_group_name_Hall '-C 2y'
loop_
_atom_site_label
_atom_site_fract_x
_atom_site_fract_y
_atom_site_fract_z
Ni1 0.9997 0.0000 0.2418
Ni2 0.0000 0.3327 0.0000
Ge1 0.0000 0.5000 0.5000
```

(2)
This entry pairs a crystal structure of NpNi6Ge6 with its theoretical powder X-ray diffraction pattern. Radiation: Cu Ka. Structure: a cell relaxed with GGA-PBE.
Kinematic intensities with the Lorentz-polarization factor, no thermal factor.

Peak list (6 most intense, 15 to 90 degrees two-theta, sorted by position)
(hkl), 2θ (°), d (Å), I/Imax
2 0 0, 34.75, 2.582, 23
1 0 3, 34.85, 2.574, 45
0 3 1, 35.20, 2.549, 23
2 0 2, 40.38, 2.234, 38
2 2 0, 41.72, 2.165, 100
2 6 0, 81.41, 1.182, 24

Structure:
```
data_NpNi6Ge6
_cell_length_a 5.1634
_cell_length_b 7.9814
_cell_length_c 8.9095
_cell_angle_alpha 90.00
_cell_angle_beta 90.00
_cell_angle_gamma 90.00
_symmetry_space_group_name_H-M 'I m m m'
_symmetry_Int_Tables_number 71
_symmetry_space_group_name_Hall '-I 2 2'
loop_
_atom_site_label
_atom_site_fract_x
_atom_site_fract_y
_atom_site_fract_z
Np1 0.0000 0.0000 0.0000
Ni1 0.0000 0.2418 0.5000
Ni2 0.2500 0.2500 0.2500
Ge1 0.0000 0.0000 0.3341
Ge2 0.0000 0.3465 0.0000
Ge3 0.0000 0.5000 0.3341
```

(3)
This entry pairs a crystal structure of NpNi5Ge3 with its theoretical powder X-ray diffraction pattern. Radiation: Cu Ka. Structure: a cell relaxed with GGA-PBE.
Kinematic intensities with the Lorentz-polarization factor, no thermal factor.

Peak list (6 most intense, 15 to 90 degrees two-theta, sorted by position)
(hkl), 2θ (°), d (Å), I/Imax
0 4 0, 29.43, 3.035, 58
0 0 4, 30.38, 2.943, 58
1 1 3, 34.11, 2.629, 95
1 3 2, 36.25, 2.478, 100
1 1 4, 39.83, 2.263, 64
2 0 0, 49.26, 1.850, 51

Structure:
```
data_NpNi5Ge3
_cell_length_a 3.6996
_cell_length_b 12.1497
_cell_length_c 11.7765
_cell_angle_alpha 90.00
_cell_angle_beta 90.00
_cell_angle_gamma 90.00
_symmetry_space_group_name_H-M 'C m c m'
_symmetry_Int_Tables_number 63
_symmetry_space_group_name_Hall '-C 2c 2'
loop_
_atom_site_label
_atom_site_fract_x
_atom_site_fract_y
_atom_site_fract_z
Np1 0.0000 0.1550 0.2500
Ni1 0.0000 0.0000 0.0000
Ni2 0.0000 0.1940 0.5632
Ni3 0.0000 0.4455 0.1438
Ge1 0.0000 0.1203 0.7500
Ge2 0.0000 0.3810 0.5488
```

(4)